Wanted.
Say how many lines of the listing underneath hold the word "elements", as a bare number.

Given.
........
(1)
! Nd2Pd2O5 r²SCAN optimized geometry; values from VASP
! Crystal system: tetragonal
! Total energy in eV/atom: -17.342
! Symmetry: P4_2/m, No. 84
! Energy relative to the elements in meV/atom: -2385
&SYSTEM
  ibrav = 0, nat = 18, ntyp = 3
/
ATOMIC_SPECIES
Nd 144.24 Nd.upf
Pd 106.42 Pd.upf
O 16.00 O.upf
CELL_PARAMETERS angstrom
-6.527 -0.618 0.711
0.940 -3.900 5.234
-0.059 4.467 3.339
ATOMIC_POSITIONS crystal
Nd 0.107 0.261 0.000
Nd 0.893 0.739 0.000
Nd 0.261 0.893 0.500
Nd 0.739 0.107 0.500
Pd 0.596 0.305 0.000
Pd 0.404 0.695 0.000
Pd 0.305 0.404 0.500
Pd 0.695 0.596 0.500
O 0.403 0.196 0.258
O 0.597 0.804 0.742
O 0.597 0.804 0.258
O 0.196 0.597 0.758
O 0.403 0.196 0.742
O 0.804 0.403 0.242
O 0.804 0.403 0.758
O 0.196 0.597 0.242
O 0.000 0.000 0.250
O 0.000 0.000 0.750

(2)
! RbNdO2 r²SCAN optimized geometry; values from VASP
! Crystal system: trigonal
! Total energy in eV/atom: -16.644
! Symmetry: R-3m, No. 166
! Energy relative to the elements in meV/atom: -2820
&SYSTEM
  ibrav = 0, nat = 4, ntyp = 3
/
ATOMIC_SPECIES
Rb 85.47 Rb.upf
Nd 144.24 Nd.upf
O 16.00 O.upf
CELL_PARAMETERS angstrom
6.640 -1.822 -0.002
6.640 1.822 -0.002
6.140 0.000 3.114
ATOMIC_POSITIONS crystal
Rb 0.000 0.000 0.000
Nd 0.500 0.500 0.500
O 0.773 0.773 0.773
O 0.227 0.227 0.227

(3)
! Nd3RuO7 r²SCAN optimized geometry; values from VASP
! Crystal system: orthorhombic
! Total energy in eV/atom: -17.089
! Symmetry: Cmcm, No. 63
! Energy relative to the elements in meV/atom: -2954
&SYSTEM
  ibrav = 0, nat = 22, ntyp = 3
/
ATOMIC_SPECIES
Nd 144.24 Nd.upf
Ru 101.07 Ru.upf
O 16.00 O.upf
CELL_PARAMETERS angstrom
3.684 -5.484 0.000
3.684 5.484 0.000
0.000 0.000 7.529
ATOMIC_POSITIONS crystal
Nd 0.467 0.908 0.750
Nd 0.533 0.092 0.250
Nd 0.908 0.467 0.750
Nd 0.092 0.533 0.250
Nd 0.000 0.000 0.500
Nd 0.000 0.000 0.000
Ru 0.500 0.500 0.500
Ru 0.500 0.500 0.000
O 0.583 0.583 0.750
O 0.417 0.417 0.250
O 0.839 0.101 0.750
O 0.161 0.899 0.250
O 0.101 0.839 0.750
O 0.899 0.161 0.250
O 0.441 0.191 0.958
O 0.559 0.809 0.458
O 0.191 0.441 0.958
O 0.809 0.559 0.458
O 0.441 0.191 0.542
O 0.559 0.809 0.042
O 0.809 0.559 0.042
O 0.191 0.441 0.542

(4)
! Nd2SO6 r²SCAN optimized geometry; values from VASP
! Crystal system: tetragonal
! Total energy in eV/atom: -14.268
! Symmetry: I-42m, No. 121
! Energy relative to the elements in meV/atom: -2856
&SYSTEM
  ibrav = 0, nat = 9, ntyp = 3
/
ATOMIC_SPECIES
Nd 144.24 Nd.upf
S 32.06 S.upf
O 16.00 O.upf
CELL_PARAMETERS angstrom
-4.150 0.000 0.000
0.000 -4.153 0.000
2.075 2.077 7.324
ATOMIC_POSITIONS crystal
Nd 0.827 0.327 0.654
Nd 0.173 0.673 0.346
S 0.500 0.000 0.000
O 0.239 0.739 0.882
O 0.643 0.143 0.882
O 0.357 0.261 0.118
O 0.761 0.857 0.118
O 0.750 0.750 0.500
O 0.250 0.250 0.500

(5)
! Nd3Sb5O12 r²SCAN optimized geometry; values from VASP
! Crystal system: cubic
! Total energy in eV/atom: -16.812
! Symmetry: I-43m, No. 217
! Energy relative to the elements in meV/atom: -2389
&SYSTEM
  ibrav = 0, nat = 40, ntyp = 3
/
ATOMIC_SPECIES
Nd 144.24 Nd.upf
Sb 121.76 Sb.upf
O 16.00 O.upf
CELL_PARAMETERS angstrom
-5.507 5.506 5.507
5.506 -5.506 5.506
5.507 5.506 -5.506
ATOMIC_POSITIONS crystal
Nd 0.750 0.250 0.500
Nd 0.750 0.500 0.250
Nd 0.250 0.500 0.750
Nd 0.500 0.750 0.250
Nd 0.500 0.250 0.750
Nd 0.250 0.750 0.500
Sb 0.000 0.508 0.000
Sb 0.508 0.000 0.000
Sb 0.000 0.000 0.508
Sb 0.492 0.492 0.492
Sb 0.000 0.721 0.721
Sb 0.000 0.279 0.279
Sb 0.279 0.279 0.000
Sb 0.721 0.721 0.000
Sb 0.721 0.000 0.721
Sb 0.279 0.000 0.279
O 0.804 0.804 0.276
O 0.529 0.724 0.529
O 0.724 0.529 0.529
O 0.000 0.471 0.196
O 0.471 0.000 0.196
O 0.196 0.471 0.000
O 0.471 0.196 0.000
O 0.196 0.000 0.471
O 0.804 0.276 0.804
O 0.276 0.804 0.804
O 0.000 0.196 0.471
O 0.529 0.529 0.724
O 0.292 0.292 0.804
O 0.488 0.196 0.488
O 0.196 0.488 0.488
O 0.000 0.512 0.708
O 0.488 0.488 0.196
O 0.000 0.708 0.512
O 0.804 0.292 0.292
O 0.292 0.804 0.292
O 0.708 0.000 0.512
O 0.512 0.708 0.000
O 0.708 0.512 0.000
O 0.512 0.000 0.708

(6)
........

Here it is.
5